Copy the block below from the line with "0.973 0.750" to the end character by character.
Entry 1:
The following is a theoretical XRD peak list of CsNpZnF6. It was derived from a crystal structure in Alexandria, relaxed with PBE, using a wavelength of 1.5418 Å.
Neutral-atom scattering factors, no anomalous dispersion.

Atomic structure:
a = 7.648 Å, b = 7.648 Å, c = 7.648 Å
α = 119.98°, β = 116.59°, γ = 93.02°
Fractional coordinates of all 18 atoms:
Cs1 0.340 0.090 0.250
Cs2 0.660 0.910 0.750
Np1 0.000 0.500 0.500
Np2 0.500 0.500 0.000
Zn1 0.000 0.000 0.500
Zn2 0.000 0.500 0.000
F1 0.052 0.354 0.175
F2 0.052 0.877 0.698
F3 0.079 0.329 0.750
F4 0.320 0.123 0.675
F5 0.320 0.646 0.198
F6 0.362 0.612 0.750
F7 0.638 0.388 0.250
F8 0.680 0.354 0.802
F9 0.680 0.877 0.325
F10 0.921 0.671 0.250
F11 0.948 0.123 0.302
F12 0.948 0.646 0.825

The 6 most intense peaks (2θ = 10–90°), by angle:
two_theta, I (rel.)
14.3, 41.4
23.3, 39.4
26.4, 100.0
27.9, 51.6
28.9, 48.2
47.7, 44.0

=====

Entry 2:
The following is a theoretical XRD peak list of CsSbPO4F3. It was derived from a crystal structure in Alexandria, relaxed with PBE, using a wavelength of 1.5418 Å.
Neutral-atom scattering factors, no anomalous dispersion.

Atomic structure:
a = 6.737 Å, b = 5.637 Å, c = 9.635 Å
α = 90.00°, β = 103.03°, γ = 90.00°
Fractional coordinates of all 20 atoms:
Cs1 0.214 0.250 0.331
Cs2 0.786 0.750 0.669
Sb1 0.307 0.250 0.782
Sb2 0.693 0.750 0.218
P1 0.359 0.750 0.937
P2 0.641 0.250 0.063
O1 0.214 0.529 0.884
O2 0.214 0.971 0.884
O3 0.401 0.750 0.107
O4 0.448 0.250 0.111
O5 0.552 0.750 0.889
O6 0.599 0.250 0.893
O7 0.786 0.029 0.116
O8 0.786 0.471 0.116
F1 0.027 0.250 0.673
F2 0.368 0.026 0.645
F3 0.368 0.474 0.645
F4 0.632 0.526 0.355
F5 0.632 0.974 0.355
F6 0.973 0.750 0.327

The 6 most intense peaks (2θ = 10–90°), by angle:
two_theta, I (rel.)
18.9, 39.0
20.8, 100.0
21.5, 29.2
26.0, 42.6
30.3, 36.0
43.4, 29.8

* * * * *

(1)
Diffraction record for RhPbSe2N. The X-ray diffraction stick pattern is calculated, not measured: it uses a structure optimized by DFT (PBE) and Cu Kα (λ = 1.5418 Å).
Neutral-atom scattering factors, no anomalous dispersion.

Crystal structure
a = 5.2955 Å, b = 5.2955 Å, c = 3.6966 Å
α = 90.00°, β = 90.00°, γ = 90.00°
Space group P4/mmm (No. 123)
Symmetry-distinct sites (fractional):
Rh: 0.0000 0.0000 0.0000 [1 per cell]
Pb: 0.5000 0.5000 0.5000 [1 per cell]
Se: 0.0000 0.5000 0.0000 [2 per cell]
N: 0.0000 0.0000 0.5000 [1 per cell]

The 10 most intense peaks (10° ≤ 2θ ≤ 80°), low angle first:
hkl	Position (°2θ)	intensity
1 1 0	23.76	26
1 0 1	29.47	100
2 0 0	33.85	93
1 1 1	34.08	58
2 1 1	45.49	63
2 2 0	48.63	33
3 1 1	60.72	22
2 0 2	61.15	33
3 2 1	68.78	19
2 2 2	71.76	21

(2)
Diffraction record for RuPb4N4. The X-ray diffraction stick pattern is calculated, not measured: it uses a structure optimized by DFT (PBE) and Cu Kα (λ = 1.5418 Å).
Neutral-atom scattering factors, no anomalous dispersion.

Crystal structure
a = 6.1266 Å, b = 6.6786 Å, c = 10.7391 Å
α = 100.94°, β = 99.23°, γ = 113.15°
Space group P-1 (No. 2)
Symmetry-distinct sites (fractional):
Ru: 0.1719 0.3337 0.1447 [2 per cell]
Pb: 0.0633 0.8462 0.2376 [2 per cell]
Pb: 0.2615 0.6784 0.6421 [2 per cell]
Pb: 0.3708 0.1781 0.5700 [2 per cell]
Pb: 0.4555 0.7580 0.0303 [2 per cell]
N: 0.1371 0.7973 0.8408 [2 per cell]
N: 0.2020 0.3494 0.9746 [2 per cell]
N: 0.3175 0.6450 0.2329 [2 per cell]
N: 0.3462 0.1763 0.1940 [2 per cell]

The 10 most intense peaks (10° ≤ 2θ ≤ 80°), low angle first:
hkl	Position (°2θ)	intensity
1 0 2	26.92	100
1 0 -3	27.11	27
1 -2 1	27.43	28
0 2 -1	29.08	21
-2 1 1	29.57	41
0 2 0	30.29	51
1 1 -3	31.06	29
-1 1 3	31.22	45
2 0 -1	31.77	21
1 -2 3	35.18	16

(3)
Diffraction record for Sc4SbPbN. The X-ray diffraction stick pattern is calculated, not measured: it uses a structure optimized by DFT (PBE) and Cu Kα (λ = 1.5418 Å).
Neutral-atom scattering factors, no anomalous dispersion.

Crystal structure
a = 6.2313 Å, b = 15.0282 Å, c = 6.2265 Å
α = 90.00°, β = 90.00°, γ = 90.00°
Space group Cmcm (No. 63)
Symmetry-distinct sites (fractional):
F6 0.973 0.750 0.327

The 6 most intense peaks (2θ = 10–90°), by angle:
two_theta, I (rel.)
18.9, 39.0
20.8, 100.0
21.5, 29.2
26.0, 42.6
30.3, 36.0
43.4, 29.8

* * * * *

(1)
Diffraction record for RhPbSe2N. The X-ray diffraction stick pattern is calculated, not measured: it uses a structure optimized by DFT (PBE) and Cu Kα (λ = 1.5418 Å).
Neutral-atom scattering factors, no anomalous dispersion.

Crystal structure
a = 5.2955 Å, b = 5.2955 Å, c = 3.6966 Å
α = 90.00°, β = 90.00°, γ = 90.00°
Space group P4/mmm (No. 123)
Symmetry-distinct sites (fractional):
Rh: 0.0000 0.0000 0.0000 [1 per cell]
Pb: 0.5000 0.5000 0.5000 [1 per cell]
Se: 0.0000 0.5000 0.0000 [2 per cell]
N: 0.0000 0.0000 0.5000 [1 per cell]

The 10 most intense peaks (10° ≤ 2θ ≤ 80°), low angle first:
hkl	Position (°2θ)	intensity
1 1 0	23.76	26
1 0 1	29.47	100
2 0 0	33.85	93
1 1 1	34.08	58
2 1 1	45.49	63
2 2 0	48.63	33
3 1 1	60.72	22
2 0 2	61.15	33
3 2 1	68.78	19
2 2 2	71.76	21

(2)
Diffraction record for RuPb4N4. The X-ray diffraction stick pattern is calculated, not measured: it uses a structure optimized by DFT (PBE) and Cu Kα (λ = 1.5418 Å).
Neutral-atom scattering factors, no anomalous dispersion.

Crystal structure
a = 6.1266 Å, b = 6.6786 Å, c = 10.7391 Å
α = 100.94°, β = 99.23°, γ = 113.15°
Space group P-1 (No. 2)
Symmetry-distinct sites (fractional):
Ru: 0.1719 0.3337 0.1447 [2 per cell]
Pb: 0.0633 0.8462 0.2376 [2 per cell]
Pb: 0.2615 0.6784 0.6421 [2 per cell]
Pb: 0.3708 0.1781 0.5700 [2 per cell]
Pb: 0.4555 0.7580 0.0303 [2 per cell]
N: 0.1371 0.7973 0.8408 [2 per cell]
N: 0.2020 0.3494 0.9746 [2 per cell]
N: 0.3175 0.6450 0.2329 [2 per cell]
N: 0.3462 0.1763 0.1940 [2 per cell]

The 10 most intense peaks (10° ≤ 2θ ≤ 80°), low angle first:
hkl	Position (°2θ)	intensity
1 0 2	26.92	100
1 0 -3	27.11	27
1 -2 1	27.43	28
0 2 -1	29.08	21
-2 1 1	29.57	41
0 2 0	30.29	51
1 1 -3	31.06	29
-1 1 3	31.22	45
2 0 -1	31.77	21
1 -2 3	35.18	16

(3)
Diffraction record for Sc4SbPbN. The X-ray diffraction stick pattern is calculated, not measured: it uses a structure optimized by DFT (PBE) and Cu Kα (λ = 1.5418 Å).
Neutral-atom scattering factors, no anomalous dispersion.

Crystal structure
a = 6.2313 Å, b = 15.0282 Å, c = 6.2265 Å
α = 90.00°, β = 90.00°, γ = 90.00°
Space group Cmcm (No. 63)
Symmetry-distinct sites (fractional):